_File_
- - -
The following is a PBE calculation of a relaxed LiCr2Ge crystal, from Alexandria.

Properties
Total moment = 0.3 μB per formula unit
ΔE_f = 2.53 eV per formula unit
N(E_F) = 0.92 states/eV per atom
E = -5.811 eV per atom
Space-group type = I-42d (122)

a b c (Å): 5.271 5.271 5.271
angles (deg): 102.23 102.23 125.20
Sites, in units of the cell vectors:
Li 0.000 0.000 0.000
Li 0.750 0.250 0.500
Cr 0.133 0.625 0.008
Cr 0.375 0.383 0.508
Cr 0.617 0.125 0.992
Cr 0.875 0.867 0.492
Ge 0.250 0.750 0.500
Ge 0.500 0.500 0.000

---

The following is a PBE calculation of a relaxed LiCrGe2 crystal, from Alexandria.

Properties
Energy relative to the lowest polymorph listed for this composition = 0.178 eV/atom
Total moment = 0.0 μB per formula unit
ΔE_f = 0.62 eV per formula unit
N(E_F) = 2.11 states/eV per atom
E = -5.039 eV per atom
Space-group type = Fm-3m (225)

a b c (Å): 4.288 4.288 4.288
angles (deg): 60.00 60.00 60.00
Sites, in units of the cell vectors:
Li 0.000 0.000 0.000
Cr 0.500 0.500 0.500
Ge 0.250 0.250 0.250
Ge 0.750 0.750 0.750

---

The following is a PBE calculation of a relaxed Li2MgCrGe crystal, from Alexandria.

Properties
Total moment = 0.5 μB per formula unit
ΔE_f = 4.93 eV per formula unit
N(E_F) = 1.68 states/eV per atom
E = -2.947 eV per atom
Space-group type = P4/mmm (123)

a b c (Å): 4.627 4.627 4.982
angles (deg): 90.00 90.00 90.00
Sites, in units of the cell vectors:
Li 0.000 0.500 0.000
Li 0.500 0.000 0.000
Mg 0.000 0.000 0.500
Cr 0.500 0.500 0.500
Ge 0.000 0.000 0.000

---

The following is a PBE calculation of a relaxed Li2CrGeN crystal, from Alexandria.

Properties
Total moment = 2.1 μB per formula unit
N(E_F) = 0.33 states/eV per atom
E_form (uncorrected) = -0.333 eV per atom
E = -5.612 eV per atom
Space-group type = P4/mmm (123)

a b c (Å): 4.072 4.072 3.709
angles (deg): 90.00 90.00 90.00
Sites, in units of the cell vectors:
Li 0.000 0.500 0.000
Li 0.500 0.000 0.000
Cr 0.000 0.000 0.500
Ge 0.500 0.500 0.500
N 0.000 0.000 0.000

---

The following is a PBE calculation of a relaxed LiCrGe2N4 crystal, from Alexandria.

Properties
Total moment = 3.0 μB per formula unit
N(E_F) = 0.12 states/eV per atom
E_form (uncorrected) = -0.210 eV per atom
E = -6.969 eV per atom
Space-group type = I-42m (121)

a b c (Å): 5.716 5.716 5.716
angles (deg): 135.14 135.14 65.31
Sites, in units of the cell vectors:
Li 0.000 0.000 0.000
Cr 0.500 0.500 0.000
Ge 0.250 0.750 0.500
Ge 0.750 0.250 0.500
N 0.129 0.599 0.000
N 0.401 0.401 0.529
N 0.599 0.129 0.000
N 0.871 0.871 0.471

---

The following is a PBE calculation of a relaxed LiCr2GeN crystal, from Alexandria.

Properties
Total moment = 3.4 μB per formula unit
N(E_F) = 0.37 states/eV per atom
E_form (uncorrected) = -0.330 eV per atom
E = -7.150 eV per atom
Space-group type = P4/mmm (123)

a b c (Å): 3.863 3.863 3.846
angles (deg): 90.00 90.00 90.00
Sites, in units of the cell vectors:
Li 0.000 0.000 0.000
Cr 0.000 0.500 0.500
Cr 0.500 0.000 0.500
Ge 0.500 0.500 0.000
N 0.000 0.000 0.500

---

The following is a PBE calculation of a relaxed Li2NbCrGe crystal, from Alexandria.

Properties
Total moment = 0.0 μB per formula unit
ΔE_f = 4.04 eV per formula unit
N(E_F) = 0.72 states/eV per atom
E = -4.820 eV per atom
Space-group type = P4/mmm (123)

a b c (Å): 4.189 4.189 4.568
angles (deg): 90.00 90.00 90.00
Sites, in units of the cell vectors:
Li 0.000 0.500 0.000
Li 0.500 0.000 0.000
Nb 0.000 0.000 0.500
Cr 0.500 0.500 0.500
Ge 0.500 0.500 0.000

---

> Look up the E of the fourth one.

-5.612 eV per atom


1.
Here is a relaxed structure of Ba2Li12Ag3Hg from Alexandria via LeMat-Bulk. Energies are from GGA-PBE.

Structure (POSCAR):
```
Ba2Li12Ag3Hg
1.0
7.2347 -1.6327 -1.1581
2.1532 7.0973 -1.1581
2.1532 1.2533 7.0811
Hg Li Ag Ba
1 12 3 2
direct
0.0000 0.0000 0.0000 Hg
0.1560 0.5848 0.5848 Li
0.5848 0.1560 0.5848 Li
0.8440 0.4152 0.4152 Li
0.2689 0.8149 0.8149 Li
0.5848 0.5848 0.1560 Li
0.4152 0.4152 0.8440 Li
0.1851 0.1851 0.7311 Li
0.8149 0.8149 0.2689 Li
- - -

_Brief_
Echo the rows further up verbatim.

_Response_
The following is a PBE calculation of a relaxed LiCr2Ge crystal, from Alexandria.

Properties
Total moment = 0.3 μB per formula unit
ΔE_f = 2.53 eV per formula unit
N(E_F) = 0.92 states/eV per atom
E = -5.811 eV per atom
Space-group type = I-42d (122)

a b c (Å): 5.271 5.271 5.271
angles (deg): 102.23 102.23 125.20
Sites, in units of the cell vectors:
Li 0.000 0.000 0.000
Li 0.750 0.250 0.500
Cr 0.133 0.625 0.008
Cr 0.375 0.383 0.508
Cr 0.617 0.125 0.992
Cr 0.875 0.867 0.492
Ge 0.250 0.750 0.500
Ge 0.500 0.500 0.000

---

The following is a PBE calculation of a relaxed LiCrGe2 crystal, from Alexandria.

Properties
Energy relative to the lowest polymorph listed for this composition = 0.178 eV/atom
Total moment = 0.0 μB per formula unit
ΔE_f = 0.62 eV per formula unit
N(E_F) = 2.11 states/eV per atom
E = -5.039 eV per atom
Space-group type = Fm-3m (225)

a b c (Å): 4.288 4.288 4.288
angles (deg): 60.00 60.00 60.00
Sites, in units of the cell vectors:
Li 0.000 0.000 0.000
Cr 0.500 0.500 0.500
Ge 0.250 0.250 0.250
Ge 0.750 0.750 0.750

---

The following is a PBE calculation of a relaxed Li2MgCrGe crystal, from Alexandria.

Properties
Total moment = 0.5 μB per formula unit
ΔE_f = 4.93 eV per formula unit
N(E_F) = 1.68 states/eV per atom
E = -2.947 eV per atom
Space-group type = P4/mmm (123)

a b c (Å): 4.627 4.627 4.982
angles (deg): 90.00 90.00 90.00
Sites, in units of the cell vectors:
Li 0.000 0.500 0.000
Li 0.500 0.000 0.000
Mg 0.000 0.000 0.500
Cr 0.500 0.500 0.500
Ge 0.000 0.000 0.000

---

The following is a PBE calculation of a relaxed Li2CrGeN crystal, from Alexandria.

Properties
Total moment = 2.1 μB per formula unit
N(E_F) = 0.33 states/eV per atom
E_form (uncorrected) = -0.333 eV per atom
E = -5.612 eV per atom
Space-group type = P4/mmm (123)

a b c (Å): 4.072 4.072 3.709
angles (deg): 90.00 90.00 90.00
Sites, in units of the cell vectors:
Li 0.000 0.500 0.000
Li 0.500 0.000 0.000
Cr 0.000 0.000 0.500
Ge 0.500 0.500 0.500
N 0.000 0.000 0.000

---

The following is a PBE calculation of a relaxed LiCrGe2N4 crystal, from Alexandria.

Properties
Total moment = 3.0 μB per formula unit
N(E_F) = 0.12 states/eV per atom
E_form (uncorrected) = -0.210 eV per atom
E = -6.969 eV per atom
Space-group type = I-42m (121)

a b c (Å): 5.716 5.716 5.716
angles (deg): 135.14 135.14 65.31
Sites, in units of the cell vectors:
Li 0.000 0.000 0.000
Cr 0.500 0.500 0.000
Ge 0.250 0.750 0.500
Ge 0.750 0.250 0.500
N 0.129 0.599 0.000
N 0.401 0.401 0.529
N 0.599 0.129 0.000
N 0.871 0.871 0.471

---

The following is a PBE calculation of a relaxed LiCr2GeN crystal, from Alexandria.

Properties
Total moment = 3.4 μB per formula unit
N(E_F) = 0.37 states/eV per atom
E_form (uncorrected) = -0.330 eV per atom
E = -7.150 eV per atom
Space-group type = P4/mmm (123)

a b c (Å): 3.863 3.863 3.846
angles (deg): 90.00 90.00 90.00
Sites, in units of the cell vectors:
Li 0.000 0.000 0.000
Cr 0.000 0.500 0.500
Cr 0.500 0.000 0.500
Ge 0.500 0.500 0.000
N 0.000 0.000 0.500

---

The following is a PBE calculation of a relaxed Li2NbCrGe crystal, from Alexandria.

Properties
Total moment = 0.0 μB per formula unit
ΔE_f = 4.04 eV per formula unit
N(E_F) = 0.72 states/eV per atom
E = -4.820 eV per atom
Space-group type = P4/mmm (123)

a b c (Å): 4.189 4.189 4.568
angles (deg): 90.00 90.00 90.00
Sites, in units of the cell vectors:
Li 0.000 0.500 0.000
Li 0.500 0.000 0.000
Nb 0.000 0.000 0.500
Cr 0.500 0.500 0.500
Ge 0.500 0.500 0.000

---

> Look up the E of the fourth one.

-5.612 eV per atom


1.
Here is a relaxed structure of Ba2Li12Ag3Hg from Alexandria via LeMat-Bulk. Energies are from GGA-PBE.

Structure (POSCAR):
```
Ba2Li12Ag3Hg
1.0
7.2347 -1.6327 -1.1581
2.1532 7.0973 -1.1581
2.1532 1.2533 7.0811
Hg Li Ag Ba
1 12 3 2
direct
0.0000 0.0000 0.0000 Hg
0.1560 0.5848 0.5848 Li
0.5848 0.1560 0.5848 Li
0.8440 0.4152 0.4152 Li
0.2689 0.8149 0.8149 Li
0.5848 0.5848 0.1560 Li
0.4152 0.4152 0.8440 Li
0.1851 0.1851 0.7311 Li
0.8149 0.8149 0.2689 Li